## Source
~~~
No. 1
Starting from a DFT-relaxed cell (GGA-PBE, Alexandria), the powder diffraction line list of Rb2Tl12Hg was simulated for Cu Kα.

Crystal structure
a = 7.4708 Å, b = 7.4708 Å, c = 19.2021 Å
α = 90.00°, β = 90.00°, γ = 90.00°
Space group P4/nbm (No. 125, origin choice 2)
Asymmetric unit:
1 Rb 0.2500 0.7500 0.2481
2 Tl 0.0003 0.9997 0.4119
3 Tl 0.0870 0.5870 0.0657
4 Tl 0.2500 0.2500 0.1524
5 Tl 0.2500 0.2500 0.3177
6 Hg 0.2500 0.7500 0.5000

Principal peaks in the range 2θ = 15–90°, low angle first:
2theta, I/Imax
19.18, 42
25.07, 36
25.59, 64
32.68, 50
33.47, 38
33.94, 74
36.98, 100
62.72, 31


No. 2
Starting from a DFT-relaxed cell (GGA-PBE, Alexandria), the powder diffraction line list of Cd7Pd2Pt2 was simulated for Cu Kα.

Crystal structure
a = 7.7053 Å, b = 9.3188 Å, c = 6.7917 Å
α = 90.00°, β = 90.00°, γ = 90.00°
Space group Cmmm (No. 65)
Asymmetric unit:
1 Cd 0.0000 0.0000 0.0000
2 Cd 0.0000 0.5000 0.2840
3 Cd 0.2500 0.2500 0.2811
4 Pd 0.1787 0.0000 0.5000
5 Pt 0.0000 0.2882 0.0000

Principal peaks in the range 2θ = 15–90°, low angle first:
2theta, I/Imax
23.15, 36
26.60, 70
30.32, 24
35.23, 25
38.66, 53
40.35, 100
41.09, 43
47.87, 24


No. 3
Starting from a DFT-relaxed cell (GGA-PBE, Alexandria), the powder diffraction line list of EuBr was simulated for Cu Kα.

Crystal structure
a = 4.2524 Å, b = 4.2524 Å, c = 7.0122 Å
α = 90.00°, β = 90.00°, γ = 90.00°
Space group P4/nmm (No. 129, origin choice 2)
Asymmetric unit:
1 Eu 0.2500 0.2500 0.1903
2 Br 0.2500 0.2500 0.6657

Principal peaks in the range 2θ = 15–90°, low angle first:
2theta, I/Imax
24.48, 29
25.40, 31
29.71, 100
33.12, 84
39.48, 39
42.52, 37
54.92, 39
56.80, 28


No. 4
Starting from a DFT-relaxed cell (GGA-PBE, Alexandria), the powder diffraction line list of NpHgClO4 was simulated for Cu Kα.

Crystal structure
a = 8.7493 Å, b = 6.8470 Å, c = 10.1527 Å
α = 90.00°, β = 96.92°, γ = 90.00°
Space group C2/m (No. 12)
Asymmetric unit:
1 Np 0.1851 0.0000 0.2704
2 Hg 0.2121 0.5000 0.1118
3 Cl 0.0124 0.5000 0.6825
4 O 0.0324 0.0000 0.7622
5 O 0.1850 0.0000 0.4495
6 O 0.2012 0.1964 0.1268

Principal peaks in the range 2θ = 15–90°, low angle first:
2theta, I/Imax
17.60, 26
20.45, 40
23.27, 100
26.03, 49
30.30, 32
32.46, 31
35.18, 19
36.32, 28


No. 5
Starting from a DFT-relaxed cell (GGA-PBE, Alexandria), the powder diffraction line list of In2Hg8As5Br7 was simulated for Cu Kα.

Crystal structure
a = 7.9269 Å, b = 7.9269 Å, c = 14.4450 Å
α = 90.00°, β = 90.00°, γ = 120.00°
Space group P-3m1 (No. 164)
Asymmetric unit:
1 In 0.0000 0.0000 0.1789
2 Hg 0.0000 0.5000 0.0000
3 Hg 0.0000 0.5000 0.5000
4 Hg 0.3333 0.6667 0.2501
5 As 0.0000 0.0000 0.0000
6 As 0.3333 0.6667 0.0742
7 As 0.3333 0.6667 0.4268
8 Br 0.0000 0.0000 0.5000
9 Br 0.1756 0.3512 0.7604

Principal peaks in the range 2θ = 15–90°, low angle first:
2theta, I/Imax
24.65, 44
25.96, 26
26.69, 40
28.80, 100
36.10, 20
45.79, 45
46.05, 53
52.69, 34


No. 6
Starting from a DFT-relaxed cell (GGA-PBE, Alexandria), the powder diffraction line list of Tb5Er4Tl2 was simulated for Cu Kα.

Crystal structure
a = 5.2146 Å, b = 5.2146 Å, c = 46.6707 Å
α = 90.00°, β = 90.00°, γ = 120.00°
Space group R-3m (No. 166, hexagonal axes)
Asymmetric unit:
1 Tb 0.0000 0.0000 0.0000
2 Tb 0.0000 0.0000 0.1482
3 Tb 0.0000 0.0000 0.3013
4 Er 0.0000 0.0000 0.0736
5 Er 0.0000 0.0000 0.2253
6 Tl 0.0000 0.0000 0.3835

Principal peaks in the range 2θ = 15–90°, low angle first:
2theta, I/Imax
31.84, 100
33.41, 16
34.40, 93
47.57, 33
55.05, 14
60.01, 33
61.61, 18
81.37, 14

=====

For PrGePtRh, a crystal structure in Alexandria, relaxed with GGA-PBE gives the computed X-ray diffraction stick pattern in this record (a wavelength of 1.5418 Å).
No peak broadening, texture or thermal motion is included.

Structural model:
```
data_PrGePtRh
_cell_length_a 5.9085
_cell_length_b 5.9085
_cell_length_c 5.9085
_cell_angle_alpha 139.64
_cell_angle_beta 138.48
_cell_angle_gamma 59.28
_space_group_name_H-M_alt 'P 1'
_space_group_IT_number 1
~~~
## Assignment
Set down the notes above exactly.
## Done
No. 1
Starting from a DFT-relaxed cell (GGA-PBE, Alexandria), the powder diffraction line list of Rb2Tl12Hg was simulated for Cu Kα.

Crystal structure
a = 7.4708 Å, b = 7.4708 Å, c = 19.2021 Å
α = 90.00°, β = 90.00°, γ = 90.00°
Space group P4/nbm (No. 125, origin choice 2)
Asymmetric unit:
1 Rb 0.2500 0.7500 0.2481
2 Tl 0.0003 0.9997 0.4119
3 Tl 0.0870 0.5870 0.0657
4 Tl 0.2500 0.2500 0.1524
5 Tl 0.2500 0.2500 0.3177
6 Hg 0.2500 0.7500 0.5000

Principal peaks in the range 2θ = 15–90°, low angle first:
2theta, I/Imax
19.18, 42
25.07, 36
25.59, 64
32.68, 50
33.47, 38
33.94, 74
36.98, 100
62.72, 31


No. 2
Starting from a DFT-relaxed cell (GGA-PBE, Alexandria), the powder diffraction line list of Cd7Pd2Pt2 was simulated for Cu Kα.

Crystal structure
a = 7.7053 Å, b = 9.3188 Å, c = 6.7917 Å
α = 90.00°, β = 90.00°, γ = 90.00°
Space group Cmmm (No. 65)
Asymmetric unit:
1 Cd 0.0000 0.0000 0.0000
2 Cd 0.0000 0.5000 0.2840
3 Cd 0.2500 0.2500 0.2811
4 Pd 0.1787 0.0000 0.5000
5 Pt 0.0000 0.2882 0.0000

Principal peaks in the range 2θ = 15–90°, low angle first:
2theta, I/Imax
23.15, 36
26.60, 70
30.32, 24
35.23, 25
38.66, 53
40.35, 100
41.09, 43
47.87, 24


No. 3
Starting from a DFT-relaxed cell (GGA-PBE, Alexandria), the powder diffraction line list of EuBr was simulated for Cu Kα.

Crystal structure
a = 4.2524 Å, b = 4.2524 Å, c = 7.0122 Å
α = 90.00°, β = 90.00°, γ = 90.00°
Space group P4/nmm (No. 129, origin choice 2)
Asymmetric unit:
1 Eu 0.2500 0.2500 0.1903
2 Br 0.2500 0.2500 0.6657

Principal peaks in the range 2θ = 15–90°, low angle first:
2theta, I/Imax
24.48, 29
25.40, 31
29.71, 100
33.12, 84
39.48, 39
42.52, 37
54.92, 39
56.80, 28


No. 4
Starting from a DFT-relaxed cell (GGA-PBE, Alexandria), the powder diffraction line list of NpHgClO4 was simulated for Cu Kα.

Crystal structure
a = 8.7493 Å, b = 6.8470 Å, c = 10.1527 Å
α = 90.00°, β = 96.92°, γ = 90.00°
Space group C2/m (No. 12)
Asymmetric unit:
1 Np 0.1851 0.0000 0.2704
2 Hg 0.2121 0.5000 0.1118
3 Cl 0.0124 0.5000 0.6825
4 O 0.0324 0.0000 0.7622
5 O 0.1850 0.0000 0.4495
6 O 0.2012 0.1964 0.1268

Principal peaks in the range 2θ = 15–90°, low angle first:
2theta, I/Imax
17.60, 26
20.45, 40
23.27, 100
26.03, 49
30.30, 32
32.46, 31
35.18, 19
36.32, 28


No. 5
Starting from a DFT-relaxed cell (GGA-PBE, Alexandria), the powder diffraction line list of In2Hg8As5Br7 was simulated for Cu Kα.

Crystal structure
a = 7.9269 Å, b = 7.9269 Å, c = 14.4450 Å
α = 90.00°, β = 90.00°, γ = 120.00°
Space group P-3m1 (No. 164)
Asymmetric unit:
1 In 0.0000 0.0000 0.1789
2 Hg 0.0000 0.5000 0.0000
3 Hg 0.0000 0.5000 0.5000
4 Hg 0.3333 0.6667 0.2501
5 As 0.0000 0.0000 0.0000
6 As 0.3333 0.6667 0.0742
7 As 0.3333 0.6667 0.4268
8 Br 0.0000 0.0000 0.5000
9 Br 0.1756 0.3512 0.7604

Principal peaks in the range 2θ = 15–90°, low angle first:
2theta, I/Imax
24.65, 44
25.96, 26
26.69, 40
28.80, 100
36.10, 20
45.79, 45
46.05, 53
52.69, 34


No. 6
Starting from a DFT-relaxed cell (GGA-PBE, Alexandria), the powder diffraction line list of Tb5Er4Tl2 was simulated for Cu Kα.

Crystal structure
a = 5.2146 Å, b = 5.2146 Å, c = 46.6707 Å
α = 90.00°, β = 90.00°, γ = 120.00°
Space group R-3m (No. 166, hexagonal axes)
Asymmetric unit:
1 Tb 0.0000 0.0000 0.0000
2 Tb 0.0000 0.0000 0.1482
3 Tb 0.0000 0.0000 0.3013
4 Er 0.0000 0.0000 0.0736
5 Er 0.0000 0.0000 0.2253
6 Tl 0.0000 0.0000 0.3835

Principal peaks in the range 2θ = 15–90°, low angle first:
2theta, I/Imax
31.84, 100
33.41, 16
34.40, 93
47.57, 33
55.05, 14
60.01, 33
61.61, 18
81.37, 14

=====

For PrGePtRh, a crystal structure in Alexandria, relaxed with GGA-PBE gives the computed X-ray diffraction stick pattern in this record (a wavelength of 1.5418 Å).
No peak broadening, texture or thermal motion is included.

Structural model:
```
data_PrGePtRh
_cell_length_a 5.9085
_cell_length_b 5.9085
_cell_length_c 5.9085
_cell_angle_alpha 139.64
_cell_angle_beta 138.48
_cell_angle_gamma 59.28
_space_group_name_H-M_alt 'P 1'
_space_group_IT_number 1